Letter to the Honorable James Jackson, Lieutenant General of the U.S. Air Force - Urging Air Force to Upgrade C130s


Lt Gen James Jackson
Headquarters USAF/RE
1150 Air Force Pentagon
Washington, DC 20330-1150

Dear Lt Gen Jackson:

## Someone pasted data records at this point
********
Computed, not measured: 2 unconnected molecules or ions with the total composition CH4N2PS in a non-equilibrium geometry, with wB97M-V/def2-TZVPD.

```
! wB97M-V def2-TZVPD RIJCOSX def2/J DEFGRID3
* xyz 1 1
N 3.610 -0.626 0.291
H -2.062 1.187 -1.026
H -1.906 -0.709 0.950
S 0.080 -0.270 -0.160
P 4.161 0.647 -0.225
C -1.517 -0.161 0.133
H -3.322 0.690 -0.020
N -2.335 0.759 -0.207
H 3.291 -1.517 0.264
*
```

Computed properties:
LUMO energy   -7.04 eV

Results of the Löwdin charge analysis, in e, for atoms 1 through 2: atom 1 (N): -0.207, atom 2 (H): 0.075

***

Computed, not measured: 2 unconnected molecules or ions with the total composition CH4N2S in a non-equilibrium geometry, with wB97M-V/def2-TZVPD.

```
! wB97M-V def2-TZVPD RIJCOSX def2/J DEFGRID3
* xyz 0 1
H 1.604 1.207 0.556
H -0.626 1.477 0.669
N -0.173 1.066 -0.148
S -1.259 -1.043 0.429
N 1.135 1.054 -0.339
C -0.057 -1.899 -0.090
H -0.718 1.102 -1.002
********

We urge you to replace the Youngstown Air Reserve Station's 910th Airlift Wing's current fleet of C-130H aircraft with a minimum of ten C-130J aircraft to ensure that the 910th's Department of Defense (DoD)-mandated specialized aerial spray mission continues safely and without interruption. The Fiscal Year 2016 House of Representatives' Appropriations Subcommittee on Defense Report includes language regarding the Air Force Reserve's specialized missions, specifically that: "The Committee encourages the Chief of the Air Force Reserve to review the requirements to ensure that specialized units are allocated sufficient training hours to successfully perform both their specialized and tactical missions and are allocated equipment upgrades necessary to address safety concerns associated with these missions. The Committee also supports efforts to build partnerships between units performing specialized missions and other government agencies when practical."

The current number of eight C-130H aircraft jeopardizes the 910th's capability to effectively complete overseas tactical airlift missions and domestic aerial spray operations simultaneously. To highlight the dilemma: if, in the immediate future, the 910th were tasked to deploy four aircraft to support an overseas area of responsibility, they would only be able to support a one-ship spray mission in the United States. As we are sure you're aware, within the last decade, the 910th has deployed a three C-130H aircraft package in the aftermath of Hurricane Katrina in 2005 and again in the aftermath of the Deepwater Horizon oil spill in 2010 to provide domestic emergency aerial spray capability. Recapitalizing the 910th's fleet of eight C-130H aircraft with ten C-130J aircraft would enable the wing to conduct both the overseas tactical airlift missions and the homeland aerial spray missions.

The unique aerial spray mission could also be in jeopardy after year 2020 due to several factors. The 910th's airplanes require more maintenance due to the wear and tear cause by flying the specialized mission at low altitudes. In addition, an Operational Supplement, published 17 July 2015, significantly reduced the interval between Aircraft Structural Integrity Program (ASIP) inspections based on Effective Flying Hour (EFH) calculations. The reduction in EFH interval will lead to an increase of approximately double the inspection time spent per aircraft. The additional hurdle to ensure that the current C-130H fleet is airworthy, is the much needed Communication Navigation Surveillance/Air Traffic Management (CNS/ATM) requirements required by the Federal Aviation Administration and the International Civil Aviation Organization.

As we continue to put more flight hours on the current fleet of aging C-130H aircraft, the inspection interval will continue to shorten, increasing the maintenance time and decreasing mission readiness. The C-130J models have a minimum crew size of three versus the legacy C-130H models' crew of five, which would mean immediate personnel savings to operate the system, in addition to possible maintenance hours.

For these reasons, we request your consideration for recapitalization of the 910th Airlift Wing's current fleet of C-130Hs with C-130Js at the soonest possible time, to ensure their continued and safe support of DoD's only aerial spray mission.

Attached: data records
- - -
The following is a quantum chemistry calculation of a cluster of 8 separate species, C72H152N8O8 in total, from the OMol25 dataset.

Atoms and positions in Å:
H1 -0.307 -6.919 -3.652
H2 2.117 -0.045 -4.203
H3 1.845 -7.836 -5.577
C1 -4.790 2.008 -1.496
H4 -1.984 6.457 4.600
H5 -8.095 -2.938 0.307
H6 -0.745 -0.632 -1.023
H7 -2.108 5.160 -2.710
H8 -1.743 -9.725 1.878
H9 -6.013 -0.260 1.271
H10 8.951 4.834 3.807
H11 8.674 4.627 -0.753
H12 5.444 -1.965 -2.306
H13 -2.075 -9.766 0.169
C2 -4.178 -8.476 2.629
C3 5.358 5.493 0.093
C4 -5.804 2.387 -3.673
H14 -5.146 -4.376 -1.588
C5 -1.048 -5.662 2.703
H15 -0.434 2.254 3.274
C6 -4.749 2.954 -2.716
C7 3.758 2.511 -4.081
H16 -0.450 4.164 4.382
C8 6.700 4.804 0.344
H17 -3.136 -10.595 1.341
C9 7.653 4.999 -0.845
C10 2.213 -5.769 -4.897
H18 1.558 3.271 2.102
H19 5.367 0.444 -1.343
C11 0.040 -0.966 1.019
H20 5.396 5.831 -0.948
C12 -3.262 -8.381 1.379
O1 4.535 0.727 -1.743
H21 -1.032 3.105 -4.308
H22 0.795 -1.553 -0.960
C13 -2.325 2.005 -1.360
C14 -1.983 3.684 6.627
O2 -1.548 -7.133 0.323
H23 -3.008 3.832 6.972
H24 4.043 3.202 -4.876
H25 3.846 -1.955 -1.608
H26 -6.468 -2.941 1.122
C15 0.519 -4.477 -3.326
H27 -0.015 2.765 -2.870
H28 5.345 -1.737 -4.874
H29 7.523 2.829 0.499
H30 -1.044 1.541 -3.574
H31 -5.414 -2.998 -3.928
H32 0.956 0.193 4.116
H33 8.246 6.381 3.891
H34 -7.682 -2.009 -3.764
H35 3.343 0.318 -5.956
C16 2.431 -0.727 -3.403
H36 1.477 7.809 8.445
C17 -0.163 -1.361 -0.467
C18 3.423 -6.047 -4.004
H37 -0.881 2.234 1.559
H38 -0.078 7.613 9.312
O3 -4.301 -1.860 0.247
C19 -4.279 -3.779 -1.867
H39 5.913 2.901 -0.246
H40 -0.401 -2.838 2.140
H41 -0.415 -5.483 1.826
H42 -4.774 -7.188 0.244
H43 -7.645 -0.551 1.021
C20 0.970 1.171 2.106
H44 -3.154 5.147 4.813
H45 -6.653 -3.707 -0.388
H46 -0.204 9.004 7.255
H47 -3.378 -0.519 -2.363
C21 -1.388 0.452 2.676
C22 5.610 5.728 3.344
H48 -4.070 -0.965 0.525
C23 -7.382 -1.303 -1.744
H49 -5.489 -1.208 -3.805
N1 1.041 0.104 1.083
H50 0.164 -2.965 -4.841
H51 -7.019 -0.338 -2.125
H52 -0.606 -2.362 -0.467
H53 3.095 -3.145 -3.954
C24 -2.461 -6.051 2.245
H54 0.989 -2.376 -3.343
H55 2.106 -0.294 -2.456
C25 5.829 2.874 1.840
C26 4.380 -2.008 -2.560
N2 -5.116 -1.599 -0.883
H56 2.400 0.075 3.202
H57 0.843 -1.910 2.795
H58 6.776 2.588 -4.273
O4 -1.954 5.929 8.312
H59 3.668 3.069 -3.151
H60 -3.773 -4.113 -2.771
H61 7.246 4.424 -1.684
H62 -1.375 -3.602 -2.764
H63 5.251 6.446 0.616
C27 -3.298 -1.611 -2.386
H64 -5.064 -6.581 2.411
C28 1.060 -4.477 -1.873
C29 -3.623 2.103 -0.523
H65 -0.534 -6.440 3.264
H66 2.080 -4.116 -1.743
C30 -0.984 2.610 -3.336
H67 2.522 -6.664 -6.862
C31 6.632 3.493 3.008
C32 -7.019 -2.850 0.182
H68 1.933 -4.347 -6.511
C33 7.979 5.317 3.921
C34 -2.557 -9.692 1.143
C35 -1.349 -0.504 1.479
H69 2.717 2.076 1.329
O5 0.635 -6.861 -3.453
N3 4.664 0.361 -3.089
H70 2.240 -2.294 -5.322
H71 2.507 -0.058 -0.100
H72 6.117 3.305 3.950
H73 -7.285 -3.315 -2.528
C36 5.282 0.994 -5.386
H74 -2.399 0.970 -1.706
N4 -0.934 5.748 7.352
H75 4.736 -0.421 -6.849
H76 4.828 3.300 1.937
- - -

Thank you for your consideration of our request. We look forward to working with you in this endeavor.


Sherrod Brown
United States Senator

Rob Portman
United States Senator

~~~
# 1
A structure of composition C21H18HgN5O. Source: OMol25; level of theory: ωB97M-V/def2-TZVPD.

The expectation value of S² is 0.776. Its multiplicity is 2. The calculation puts the lowest unoccupied orbital energy (alpha / beta) at 0.476 / 0.473 eV. The value obtained for the frontier orbital gap (alpha / beta) is 5.37 / 8.26 eV. Its HOMO energy (alpha / beta) is -4.891 / -7.790 eV. Its molar mass is 557.00 g/mol. As for the net charge: 0.

Each line ends with the natural charge from an NBO analysis.
Atoms and positions in Å:
Hg -0.09 -0.32 -0.36  1.51
O 0.78 -3.11 -3.45  -0.67
C 0.73 -2.43 -2.42  0.60
N -0.28 -1.65 -2.04  -0.77
C -1.36 -1.55 -2.99  -0.27
C -2.36 -0.45 -2.68  0.24
C -3.52 -0.34 -3.45  -0.24
C -4.42 0.66 -3.16  -0.15
C -4.17 1.52 -2.11  -0.27
C -3.01 1.34 -1.39  0.05
N -2.12 0.38 -1.68  -0.52
C 1.93 -2.50 -1.47  0.14
C 2.90 -3.46 -1.69  -0.21
C 3.98 -3.52 -0.83  -0.16
C 4.07 -2.61 0.22  -0.25
C 3.06 -1.68 0.36  0.04
N 2.02 -1.63 -0.47  -0.51
H -1.90 -2.50 -3.05  0.21
H -0.96 -1.38 -4.00  0.22
H -3.69 -1.04 -4.26  0.22
H -5.33 0.76 -3.75  0.22
H -4.86 2.31 -1.84  0.23
H -2.76 1.98 -0.55  0.20
H 2.78 -4.14 -2.52  0.25
H 4.76 -4.27 -0.97  0.22
H 4.90 -2.63 0.91  0.22
H 3.07 -0.95 1.16  0.21
N 0.97 1.91 -0.14  -0.90
C 0.92 2.25 1.27  0.03
C 1.58 3.38 1.73  -0.26
C 1.53 3.72 3.08  -0.22
C 0.82 2.92 3.96  -0.23
C 0.14 1.77 3.52  -0.08
C -0.61 0.94 4.40  -0.26
C -1.26 -0.19 3.88  -0.28
C -1.15 -0.49 2.55  -0.03
N -0.43 0.28 1.68  -0.76
C 0.20 1.42 2.14  0.23
H 1.92 2.00 -0.49  0.39
H 0.40 2.56 -0.68  0.38
H 2.13 4.00 1.03  0.20
H 2.05 4.60 3.43  0.21
H 0.77 3.17 5.01  0.21
H -0.66 1.19 5.45  0.20
H -1.85 -0.84 4.52  0.22
H -1.64 -1.36 2.14  0.19

# 2
A structure of composition C21H18MnN4O2STe at a distorted geometry. Source: OMol25; level of theory: ωB97M-V/def2-TZVPD.

The expectation value of S² is 0.858. Its multiplicity is 2. The calculation puts the lowest unoccupied orbital energy (alpha / beta) at -0.623 / -0.688 eV. The value obtained for the frontier orbital gap (alpha / beta) is 5.88 / 5.61 eV. Its HOMO energy (alpha / beta) is -6.500 / -6.296 eV. Its molar mass is 573.01 g/mol. As for the net charge: 0.

Each line ends with the natural charge from an NBO analysis.
Atoms and positions in Å:
Mn -0.09 -0.84 -0.53  0.80
C 1.46 1.88 -3.51  -0.24
C 0.47 2.86 -3.54  -0.16
C -0.63 2.74 -2.71  -0.23
C -0.71 1.64 -1.86  0.25
N 0.26 0.69 -1.84  -0.46
C 1.31 0.80 -2.66  0.06
C -1.78 1.43 -0.88  0.11
C -2.88 2.25 -0.65  -0.19
C -3.74 1.94 0.39  -0.19
C -3.50 0.83 1.18  -0.20
C -2.41 0.02 0.89  0.23
N -1.58 0.31 -0.13  -0.42
C -2.01 -1.20 1.60  0.15
C -2.74 -1.81 2.62  -0.21
C -2.23 -2.94 3.21  -0.15
C -1.01 -3.46 2.77  -0.24
C -0.35 -2.83 1.73  0.07
N -0.83 -1.72 1.16  -0.44
H 2.33 1.94 -4.15  0.23
H 0.56 3.71 -4.20  0.22
H -1.41 3.49 -2.72  0.22
H 2.03 -0.01 -2.61  0.24
H -3.05 3.11 -1.27  0.22
H -4.59 2.57 0.59  0.22
H -4.16 0.59 2.00  0.23
H -3.69 -1.40 2.91  0.23
H -2.79 -3.44 4.00  0.22
H -0.59 -4.35 3.22  0.23
~~~
### Back to the page

Tim Ryan
Member of Congress

Bill Johnson
Member of Congress

David Joyce
Member of Congress
